Forget Bitcoin. The Blockchain Could Reveal What’s True Today and Tomorrow

What’s True Today and Tomorrow
Data records from another source follow:
'''
[1]
Computed, not measured: crystalline K2B6H2O11 at its relaxed geometry at the PBE-GGA level of DFT.

Properties
E_tot in eV per atom: -7.17
Formation enthalpy at 0 K in meV per atom: -2600
MP2020-corrected energy in eV/atom: -7.529

a b c (Å): 9.166 6.705 18.257
angles (deg): 90.00 117.78 90.00
Space group P2_1/c (No. 14)
Inequivalent atoms, fractional coordinates:
K 0.110 0.162 0.129 x4
K 0.330 0.583 0.343 x4
B 0.070 0.203 0.340 x4
B 0.206 0.679 0.146 x4
B 0.235 0.540 0.950 x4
B 0.248 0.188 0.985 x4
B 0.305 0.668 0.551 x4
B 0.481 0.608 0.167 x4
H 0.009 0.642 0.769 x4
H 0.298 0.029 0.314 x4
O 0.075 0.239 0.764 x4
O 0.101 0.656 0.178 x4
O 0.144 0.141 0.905 x4
O 0.167 0.012 0.367 x4
O 0.177 0.703 0.579 x4
O 0.252 0.737 0.969 x4
O 0.280 0.110 0.510 x4
O 0.323 0.050 0.047 x4
O 0.354 0.569 0.187 x4
O 0.375 0.000 0.291 x4
O 0.467 0.747 0.612 x4

***

[2]
Computed, not measured: crystalline K3B5PH2O13 at its relaxed geometry at the PBE-GGA level of DFT.

Properties
E_tot in eV per atom: -6.87
Formation enthalpy at 0 K in meV per atom: -2527
MP2020-corrected energy in eV/atom: -7.246

a b c (Å): 6.923 7.411 12.338
angles (deg): 90.00 94.10 90.00
Space group P2/c (No. 13)
Inequivalent atoms, fractional coordinates:
K 0.000 0.088 0.250 x2
K 0.353 0.252 0.948 x4
B 0.000 0.383 0.750 x2
B 0.135 0.313 0.575 x4
B 0.327 0.479 0.198 x4
P 0.500 0.151 0.250 x2
H 0.189 0.273 0.423 x4
O 0.017 0.265 0.655 x4
O 0.102 0.227 0.475 x4
O 0.171 0.498 0.271 x4
O 0.282 0.438 0.590 x4
O 0.361 0.281 0.177 x4
O 0.383 0.043 0.327 x4
O 0.500 0.435 0.750 x2

***

[3]
Computed, not measured: crystalline K3BP3H3O12 at its relaxed geometry at the PBE-GGA level of DFT.

Properties
E_tot in eV per atom: -6.40
Formation enthalpy at 0 K in meV per atom: -2422
MP2020-corrected energy in eV/atom: -6.777

a b c (Å): 25.405 7.592 14.408
angles (deg): 90.00 118.89 90.00
Space group C2/c (No. 15)
Inequivalent atoms, fractional coordinates:
K 0.048 0.047 0.155 x8
K 0.106 0.315 0.961 x8
K 0.232 0.493 0.912 x8
B 0.170 0.270 0.661 x8
P 0.076 0.401 0.695 x8
P 0.107 0.132 0.458 x8
P 0.243 0.023 0.812 x8
H 0.045 0.483 0.535 x8
H 0.075 0.345 0.334 x8
H 0.180 0.089 0.366 x8
O 0.019 0.301 0.662 x8
O 0.058 0.246 0.361 x8
O 0.065 0.454 0.103 x8
O 0.073 0.008 0.492 x8
O 0.104 0.494 0.298 x8
O 0.125 0.267 0.698 x8
O 0.143 0.280 0.545 x8
O 0.149 0.040 0.426 x8
O 0.204 0.104 0.698 x8
O 0.204 0.127 0.327 x8
O 0.208 0.427 0.705 x8
O 0.234 0.346 0.099 x8

***

[4]
Computed, not measured: crystalline KB6PH4O14 at its relaxed geometry at the PBE-GGA level of DFT.

Properties
E_tot in eV per atom: -7.08
Formation enthalpy at 0 K in meV per atom: -2472
MP2020-corrected energy in eV/atom: -7.451

a b c (Å): 12.274 12.274 7.683
angles (deg): 90.00 90.00 90.00
Space group P4/ncc (No. 130, origin choice 2)
Inequivalent atoms, fractional coordinates:
K 0.250 0.250 0.112 x4
B 0.054 0.071 0.315 x16
B 0.134 0.634 0.250 x8
P 0.250 0.750 0.000 x4
H 0.034 0.210 0.865 x16
O 0.023 0.651 0.183 x16
O 0.032 0.532 0.750 x8
'''
The piece goes on:
As far back as the 1880s, people stood on the curb outside the New York Stock Exchange taking bets on political elections, and newspapers would report the odds as a way of predicting the results at the polls. In the years since economists refined the concept, and more recently, prediction markets have tapped into the wisdom of the crowds via the internet, forecasting everything from presidential races to sporting events to stock prices. The concept took a hit in 2012 when a major site shut down amid financial irregularities and pressure from US regulators. But Silicon Valley hasn’t given up on the idea. It now sees a new way of building markets that predict the future: the blockchain.
The blockchain is the global ledger that securely records transactions for the bitcoin digital currency, operating outside the control of any central authority. But so many startups and online communities are now applying the same concept to all sorts of other applications. For Joey Krug, the openness of a blockchain could deliver far more powerful prediction markets than ever before, spreading them to a much larger number of people, while keeping regulators at bay. Krug is one of the young technologists behind Augur, a San Francisco nonprofit working to build a service atop the Ethereum blockchain where anyone can launch or join these markets. “It doesn’t care where you’re from,” says Krug, a 21-year-old Thiel Fellow. “All kinds of people can trade together that weren’t able to trade before.”
Thanks to the counterintuitive dynamics that drive prediction markets, this could eventually create more specific and accurate predictions—an antidote to media pundits and pollsters who bear a little cost for getting their forecasts wrong. “You put your money where your mouth is,” says Andrew Miller, a computer scientist at the University of Illinois Urbana-Champaign who specializes in cryptocurrencies. But like so many other technologists, financial traders, and other freethinkers working to create strangely fascinating new services atop the blockchain idea, Krug is looking even further ahead. He believes Augur, which is still under beta test, can eventually feed real-world truths into any other online application.
Though there are still many questions hovering over all these big ideas—particularly the bit about real-world truths—they’re gaining momentum. Krug and Augur built their operation with $5.3 million in crowdfunding, and others are exploring similar territory, including a service called Gnosis, another project called Bitcoin Hivemind, and even Microsoft, which now offers an Augur service that would allow businesses to run their own internal prediction markets, much as companies like Google already do.
Forecasting the Future
In theory, the better your information, the bigger the bet you’ll make. Using a blockchain, a service like Augur aims to enhance this dynamic by pushing markets across borders and removing all betting limits, roping in more people and more cash. Without such limits, people like Krug argue, the person with the best information can make their bets, which makes for a more accurate market. “If you have bet limits, you can’t have an informed trader come in and trade with enough capital to move the market and correct it,” says Matt Liston, who helped create Augur and now works on Gnosis.
If enough people stake enough money on enough outcomes, betting their own digital currency that they know what will happen, these markets become a way of predicting the future. But that’s only part of what Augur does. To pay out, prediction markets must know what happened. Did Donald Trump win or did he lose? In a more traditional prediction market, the house decides. But Augur takes a different path. Krug and his colleagues have also used their blockchain to create an engine for recording outcomes once they arrive—a way of inscribing the truth in digital form.
“It’s not just about predicting what is in the future,” Richard Craib, the founder of blockchain hedge fund Numerai, who has invested in Augur. “It’s about knowing what is happening in the present.”
A Blockchain for Facts
Here’s how it works: After one group of people joins a prediction market and bets on an outcome, Augur pays others to identify that outcome—to verify what happened. But it doesn’t just pay them a flat fee. On its blockchain, Augur houses its own cryptocurrency, a digital token that encourages people to get things right. “If you’re not telling the truth, you stand to lose a bunch of money,” Krug says.
Augur calls its digital token the Rep. This cryptocurrency doesn’t let you buy and sell stuff. It tracks your reputation—that is, how often you tell the truth. People bet their Rep tokens that they are indeed telling the truth—reporting the facts as they actually are. If most others agree, the system returns their tokens and pays them in cash. It’s a way of aligning everyone’s aims in the same direction, the sort of arrangement that so often characterizes the new breed of business built atop a blockchain. Because it’s tied to real money, the Rep token ensures that everyone is pulling in the same direction—toward the truth.
Though there are still many questions hovering over all these big ideas—particularly the bit about real-world truths—they’re gaining momentum. Krug and Augur built their operation with $5.3 million in crowdfunding, and others are exploring similar territory, including a service called Gnosis, another project called Bitcoin Hivemind, and even Microsoft, which now offers an Augur service that would allow businesses to run their own internal prediction markets, much as companies like Google already do.
Forecasting the Future
A prediction market is like the stock market, except that you’re not buying stock in companies. You’re buying stock in outcomes. Let’s say Donald Trump is running for president. A prediction market lets you buy “stock” in a Trump win or loss. If your prediction comes true, you get paid. If your prediction proves wrong, you get nothing.
As in the stock market, you can also sell your shares. You aim to buy low and sell high. If enough people participate, the trading price of the stock should indicate the likelihood of an outcome. If a prediction pays out at $1 and Trump’s “stock” is trading at 51 cents, that market predicts a 51 percent chance of a Trump victory. This odds-making reflects the efficient market hypothesis, an idea that won the Nobel Prize in economics in 2013. “Prices capture information,” says Erik Snowberg, an economist and political scientist at the California Institute of Technology. “If you have information that says the price is too low, you buy and the price goes up. If you have information that the price is too high, you sell.”
In theory, the better your information, the bigger the bet you’ll make. Using a blockchain, a service like Augur aims to enhance this dynamic by pushing markets across borders and removing all betting limits, roping in more people and more cash. Without such limits, people like Krug argue, the person with the best information can make their bets, which makes for a more accurate market. “If you have bet limits, you can’t have an informed trader come in and trade with enough capital to move the market and correct it,” says Matt Liston, who helped create Augur and now works on Gnosis.
If enough people stake enough money on enough outcomes, betting their own digital currency that they know what will happen, these markets become a way of predicting the future. But that’s only part of what Augur does. To pay out, prediction markets must know what happened. Did Donald Trump win or did he lose? In a more traditional prediction market, the house decides. But Augur takes a different path. Krug and his colleagues have also used their blockchain to create an engine for recording outcomes once they arrive—a way of inscribing the truth in digital form. “It’s not just about predicting what is in the future,” Richard Craib, the founder of blockchain hedge fund Numerai, who has invested in Augur. “It’s about knowing what is happening in the present.”
A Blockchain for Facts
Here’s how it works: After one group of people joins a prediction market and bets on an outcome, Augur pays others to identify that outcome—to verify what happened. But it doesn’t just pay them a flat fee. On its blockchain, Augur houses its own cryptocurrency, a digital token that encourages people to get things right. “If you’re not telling the truth, you stand to lose a bunch of money,” Krug says.
Augur calls its digital token the Rep. This cryptocurrency doesn’t let you buy and sell stuff. It tracks your reputation—that is, how often you tell the truth. People bet their Rep tokens that they are indeed telling the truth—reporting the facts as they actually are. If most others agree, the system returns their tokens and pays them in cash. It’s a way of aligning everyone’s aims in the same direction, the sort of arrangement that so often characterizes the new breed of business built atop a blockchain. Because it’s tied to real money, the Rep token ensures that everyone is pulling in the same direction—toward the truth. ‘It’s not just about predicting what is in the future. It’s about knowing what is happening in the present.’ Richard Craib
No. 1
VASP calculation (PBE with a Hubbard U) on a geometry-optimized Ca2Fe3O8 structure.

Cell and atoms, written as POSCAR:
```
Ca2Fe3O8
1.0
-0.003 -0.138 -5.016
5.611 -2.774 0.411
-4.606 -9.333 -0.642
Ca Fe O
4 6 16
direct
0.437 0.506 0.222 Ca
0.937 0.006 0.722 Ca
0.063 0.994 0.278 Ca
0.563 0.494 0.778 Ca
0.000 0.500 0.500 Fe
0.015 0.729 0.990 Fe
0.985 0.271 0.010 Fe
0.500 0.000 0.000 Fe
0.515 0.229 0.490 Fe
0.486 0.771 0.510 Fe
0.650 0.970 0.394 O
0.150 0.470 0.894 O
0.850 0.530 0.106 O
0.350 0.030 0.606 O
0.711 0.456 0.395 O
0.211 0.956 0.895 O
0.789 0.044 0.105 O
0.289 0.544 0.605 O
0.273 0.228 0.103 O
0.773 0.728 0.603 O
0.292 0.790 0.105 O
0.792 0.290 0.605 O
0.208 0.710 0.395 O
0.708 0.209 0.895 O
0.227 0.272 0.397 O
0.727 0.772 0.897 O
```

E	-6.3863	eV per atom
total energy after the MP2020 corrections	-190.572	eV/cell
excess energy over the best structure of this formula in the dataset	0.00	kcal/mol of atoms
ΔH_f (0 K)	-2.022	eV per atom

No. 2
VASP calculation (PBE with a Hubbard U) on a geometry-optimized CaFe2O4 structure.

Cell and atoms, written as POSCAR:
```
CaFe2O4
1.0
9.328 0.000 0.000
0.000 3.060 0.000
0.000 0.000 10.860
Ca Fe O
4 8 16
direct
0.243 0.250 0.156 Ca
0.257 0.750 0.656 Ca
0.743 0.250 0.344 Ca
0.757 0.750 0.844 Ca
0.066 0.250 0.389 Fe
0.081 0.250 0.896 Fe
0.419 0.750 0.396 Fe
0.434 0.750 0.889 Fe
0.566 0.250 0.111 Fe
0.581 0.250 0.604 Fe
0.919 0.750 0.104 Fe
0.934 0.750 0.611 Fe
0.025 0.750 0.784 O
0.082 0.250 0.574 O
0.120 0.750 0.024 O
0.205 0.750 0.337 O
0.295 0.250 0.837 O
0.380 0.250 0.524 O
0.418 0.750 0.074 O
0.475 0.250 0.284 O
0.525 0.750 0.716 O
0.582 0.250 0.926 O
0.620 0.750 0.476 O
0.705 0.750 0.163 O
0.795 0.250 0.663 O
0.880 0.250 0.976 O
0.918 0.750 0.426 O
0.975 0.250 0.216 O
```

E	-6.6676	eV per atom
crystal system	orthorhombic
space group	Pnma
total energy after the MP2020 corrections	-215.734	eV/cell
excess energy over the best structure of this formula in the dataset	0.14	kcal/mol of atoms
ΔH_f (0 K)	-2.171	eV per atom

No. 3
VASP calculation (PBE with a Hubbard U) on a geometry-optimized CaFe2O4 structure.

Cell and atoms, written as POSCAR:
```
CaFe2O4
1.0
-3.018 3.018 4.413
3.018 -3.018 4.413
3.018 3.018 -4.413
Ca Fe O
2 4 8
direct
0.375 0.625 0.750 Ca
0.625 0.375 0.250 Ca
0.000 0.000 0.000 Fe
0.000 0.000 0.500 Fe
0.000 0.500 0.000 Fe
0.500 0.000 0.500 Fe
0.189 0.226 0.964 O
0.226 0.189 0.464 O
0.226 0.762 0.036 O
0.238 0.774 0.464 O
0.762 0.226 0.536 O
0.774 0.238 0.964 O
0.774 0.811 0.536 O
0.811 0.774 0.036 O
```

E	-6.2384	eV per atom
crystal system	tetragonal
space group	I4_1/amd
total energy after the MP2020 corrections	-101.858	eV/cell
excess energy over the best structure of this formula in the dataset	10.03	kcal/mol of atoms
ΔH_f (0 K)	-1.742	eV per atom

No. 4
VASP calculation (PBE with a Hubbard U) on a geometry-optimized CaFe5O7 structure.

Cell and atoms, written as POSCAR:
```
CaFe5O7
1.0
1.547 -5.141 0.000
1.547 5.141 0.000
0.000 0.000 18.379
Ca Fe O
2 10 14
direct
There’s always the risk that the majority will deny the facts, somehow overriding the monetary incentive. Enormous bribes could be a problem, for instance. “There may be cases where you benefit by cheating,” says Miller. “If everyone goes toward the truth, you have an incentive to go along with the truth. But if everyone deviates from the truth, there is an incentive to deviate.” Still, many people seem to have faith in the idea. The Rep now enjoys a $89 million market cap, up from $50 million at the end of February.
Ultimately, Krug hopes to create a service that feeds more than just prediction markets. Augur’s reporting engine, he believes, could serve as the foundation for other applications that rely on real-world data. As he explains, it could help automate any financial contract, from options and derivatives to insurance contracts and credit default swaps. Should you be paid because a company defaulted on its debt? Check the Augur blockchain to see if the company really did.
If Augur gains a true scale, other possibilities arise. If, say, Trump’s national security adviser steps down and Augur’s Rep-funded “reporters” verify his resignation, that fact gets burned into a blockchain. Any application can then make use of this digital fact, from Wikipedia to Facebook to Google search results. In an age when fake news bounces around Facebook’s echo chambers and presidential tweets see no difference between online hoaxes and the careful reporting of the New York Times, the possibility of creating a digital market for facts becomes a powerful idea.
Like so many ideas that bubble up from the world of bitcoin, the concepts behind Augur are both strange and perhaps overly optimistic. The instability of the Ethereum tokens that people use to make bets on these markets could undermine their accuracy, says David Rothchild, a researcher at Microsoft. And the Augur reporting engine, lacking a critical mass of participants, remains unproven. But in an age when so many people feel so unsure about not just the future but the facts in the present, such big ideas are at least worth a try.
Chuck Reynolds
Alan Zibluk – Markethive Founding Member